=====
Molecular formula: C10H10AuN2O4
Method: DFT, wB97M-V/def2-TZVPD

## Properties
Frontier orbital gap (spin up / spin down) (eV): 9.625 / 7.447
E_LUMO (spin up / spin down) (hartree): -0.4196 / -0.5197
ΔE to the lowest compared entry with this formula, charge and spin (eV): 0.000
Charge: +3
2S+1: 3
Highest occupied orbital energy (spin up / spin down) (eV): -21.044 / -21.590

The geometry in XYZ format:
```
27
Properties=species:S:1:pos:R:3:lowdin_charge:R:1
O -3.151 0.099 -0.595 0.240
H -0.989 -1.169 -3.847 0.101
C -2.191 0.058 -1.219 0.006
C -0.120 -2.088 -0.910 -0.017
H 0.865 -1.258 -3.822 0.102
C -0.038 -0.664 -3.648 -0.122
H 0.980 1.251 -3.875 0.099
Au -0.037 -0.004 -1.529 0.825
H 0.533 -1.343 4.884 0.179
C 0.324 -0.773 3.991 0.142
H -0.721 1.899 2.450 0.159
C -0.335 0.915 2.704 -0.022
N -0.197 0.512 4.013 -0.045
C 0.010 1.819 -0.321 -0.046
O 3.034 -0.086 -0.446 0.241
C 0.030 0.755 -3.668 -0.064
H 0.333 1.451 5.823 0.128
H 0.848 -2.032 2.261 0.137
C 0.471 -1.110 2.657 0.036
C -0.555 1.301 5.190 0.047
O -0.267 -3.063 -0.336 0.230
H -0.954 2.278 4.867 0.121
O 0.294 2.837 0.126 0.223
N 0.088 -0.036 1.886 0.072
H -0.860 1.341 -3.900 0.099
C 2.072 -0.045 -1.076 0.001
H -1.309 0.767 5.786 0.128
```

=====

Molecular formula: C7H12F2OS
Method: DFT, wB97M-V/def2-TZVPD

## Properties
Frontier orbital gap (spin up / spin down) (eV): 8.842 / 7.328
E_LUMO (spin up / spin down) (hartree): 0.0188 / 0.0140
ΔE to the lowest compared entry with this formula, charge and spin (eV): 2.111
Highest occupied orbital energy (spin up / spin down) (eV): -8.331 / -6.946

The geometry in XYZ format:
```
23
Properties=species:S:1:pos:R:3:lowdin_charge:R:1
C 0.446 1.798 1.709 -0.057
H 1.953 0.929 0.339 0.163
C -1.989 0.020 -1.020 -0.474
H 1.092 2.741 1.756 0.111
H 0.798 1.352 2.582 0.057
C 0.317 -0.378 0.488 -0.591
C 0.835 1.004 0.407 -0.321
H 0.474 -0.929 1.487 0.130
H -0.481 -2.753 0.375 0.037
F 1.113 1.772 -1.910 0.049
C 0.878 -1.358 -0.559 -0.248
H -0.536 2.087 1.676 0.031
H 0.218 -3.469 -1.104 0.068
F -0.259 2.962 -0.578 0.074
C 0.273 1.747 -0.819 -0.256
H 1.965 -1.509 -0.387 0.123
H 1.183 -3.235 0.316 0.058
C 0.408 -2.805 -0.281 -0.113
H -1.336 -0.370 -1.889 0.102
H -3.356 1.150 -0.379 0.139
O -3.110 0.767 -1.313 -0.090
S -1.500 -0.461 0.640 0.931
H 0.613 -1.064 -1.535 0.075
```

=====

Molecular formula: C3H2CsO3
Method: DFT, wB97M-V/def2-TZVPD

## Properties
Frontier orbital gap (eV): 9.049
E_LUMO (hartree): -0.1371
ΔE to the lowest compared entry with this formula, charge and spin (eV): 2.967
Charge: +1
Highest occupied orbital energy (eV): -12.780

The geometry in XYZ format:
```
9
Properties=species:S:1:pos:R:3:lowdin_charge:R:1
C -1.992 -0.058 0.519 -0.121
H 2.936 -0.798 0.049 0.119
C -1.101 -0.111 -0.469 -0.156
H -1.537 0.280 -1.415 0.142
C 1.140 -0.326 -0.062 -0.225
Cs 1.169 3.139 0.391 0.933
O 2.074 -1.219 -0.072 0.104
O -2.700 0.032 1.430 0.233
O 0.010 -0.940 -0.371 -0.028
```

=====

Molecular formula: C9H14
Method: DFT, wB97M-V/def2-TZVPD

## Properties
Frontier orbital gap (eV): 10.020
E_LUMO (hartree): 0.0391
ΔE to the lowest compared entry with this formula, charge and spin (eV): 0.569
Highest occupied orbital energy (eV): -8.957

The geometry in XYZ format:
```
23
Properties=species:S:1:pos:R:3:lowdin_charge:R:1
H -2.442 0.592 -2.331 0.087
C 0.276 0.647 -0.234 -0.063
H -1.590 0.611 2.349 0.054
H 0.927 0.111 4.133 0.074
C -1.565 0.363 -1.766 -0.097
C 0.916 -0.395 -0.878 -0.287
H -0.583 -0.719 2.284 0.064
C 2.340 -0.710 -0.497 -0.050
C -0.970 1.081 -0.755 -0.086
H 0.733 1.229 0.553 0.093
H 2.311 -1.762 -0.215 0.082
C 0.204 0.789 3.636 -0.175
C -0.924 -0.770 -2.353 -0.085
H -1.513 -0.505 3.777 0.064
H -0.119 1.526 4.376 0.061
C -0.946 0.034 3.012 -0.185
H 2.597 -0.042 0.314 0.069
C 0.335 -1.118 -1.945 -0.056
H -1.556 1.849 -0.232 0.105
H 0.711 1.350 2.847 0.042
H -1.462 -1.187 -3.187 0.095
H 0.841 -1.993 -2.348 0.114
H 3.027 -0.562 -1.318 0.078
```

=====

Molecular formula: C2H4N4O
Method: DFT, wB97M-V/def2-TZVPD

## Properties
=====

Could you echo everything further above without additions?

Molecular formula: C10H10AuN2O4
Method: DFT, wB97M-V/def2-TZVPD

## Properties
Frontier orbital gap (spin up / spin down) (eV): 9.625 / 7.447
E_LUMO (spin up / spin down) (hartree): -0.4196 / -0.5197
ΔE to the lowest compared entry with this formula, charge and spin (eV): 0.000
Charge: +3
2S+1: 3
Highest occupied orbital energy (spin up / spin down) (eV): -21.044 / -21.590

The geometry in XYZ format:
```
27
Properties=species:S:1:pos:R:3:lowdin_charge:R:1
O -3.151 0.099 -0.595 0.240
H -0.989 -1.169 -3.847 0.101
C -2.191 0.058 -1.219 0.006
C -0.120 -2.088 -0.910 -0.017
H 0.865 -1.258 -3.822 0.102
C -0.038 -0.664 -3.648 -0.122
H 0.980 1.251 -3.875 0.099
Au -0.037 -0.004 -1.529 0.825
H 0.533 -1.343 4.884 0.179
C 0.324 -0.773 3.991 0.142
H -0.721 1.899 2.450 0.159
C -0.335 0.915 2.704 -0.022
N -0.197 0.512 4.013 -0.045
C 0.010 1.819 -0.321 -0.046
O 3.034 -0.086 -0.446 0.241
C 0.030 0.755 -3.668 -0.064
H 0.333 1.451 5.823 0.128
H 0.848 -2.032 2.261 0.137
C 0.471 -1.110 2.657 0.036
C -0.555 1.301 5.190 0.047
O -0.267 -3.063 -0.336 0.230
H -0.954 2.278 4.867 0.121
O 0.294 2.837 0.126 0.223
N 0.088 -0.036 1.886 0.072
H -0.860 1.341 -3.900 0.099
C 2.072 -0.045 -1.076 0.001
H -1.309 0.767 5.786 0.128
```

=====

Molecular formula: C7H12F2OS
Method: DFT, wB97M-V/def2-TZVPD

## Properties
Frontier orbital gap (spin up / spin down) (eV): 8.842 / 7.328
E_LUMO (spin up / spin down) (hartree): 0.0188 / 0.0140
ΔE to the lowest compared entry with this formula, charge and spin (eV): 2.111
Highest occupied orbital energy (spin up / spin down) (eV): -8.331 / -6.946

The geometry in XYZ format:
```
23
Properties=species:S:1:pos:R:3:lowdin_charge:R:1
C 0.446 1.798 1.709 -0.057
H 1.953 0.929 0.339 0.163
C -1.989 0.020 -1.020 -0.474
H 1.092 2.741 1.756 0.111
H 0.798 1.352 2.582 0.057
C 0.317 -0.378 0.488 -0.591
C 0.835 1.004 0.407 -0.321
H 0.474 -0.929 1.487 0.130
H -0.481 -2.753 0.375 0.037
F 1.113 1.772 -1.910 0.049
C 0.878 -1.358 -0.559 -0.248
H -0.536 2.087 1.676 0.031
H 0.218 -3.469 -1.104 0.068
F -0.259 2.962 -0.578 0.074
C 0.273 1.747 -0.819 -0.256
H 1.965 -1.509 -0.387 0.123
H 1.183 -3.235 0.316 0.058
C 0.408 -2.805 -0.281 -0.113
H -1.336 -0.370 -1.889 0.102
H -3.356 1.150 -0.379 0.139
O -3.110 0.767 -1.313 -0.090
S -1.500 -0.461 0.640 0.931
H 0.613 -1.064 -1.535 0.075
```

=====

Molecular formula: C3H2CsO3
Method: DFT, wB97M-V/def2-TZVPD

## Properties
Frontier orbital gap (eV): 9.049
E_LUMO (hartree): -0.1371
ΔE to the lowest compared entry with this formula, charge and spin (eV): 2.967
Charge: +1
Highest occupied orbital energy (eV): -12.780

The geometry in XYZ format:
```
9
Properties=species:S:1:pos:R:3:lowdin_charge:R:1
C -1.992 -0.058 0.519 -0.121
H 2.936 -0.798 0.049 0.119
C -1.101 -0.111 -0.469 -0.156
H -1.537 0.280 -1.415 0.142
C 1.140 -0.326 -0.062 -0.225
Cs 1.169 3.139 0.391 0.933
O 2.074 -1.219 -0.072 0.104
O -2.700 0.032 1.430 0.233
O 0.010 -0.940 -0.371 -0.028
```

=====

Molecular formula: C9H14
Method: DFT, wB97M-V/def2-TZVPD

## Properties
Frontier orbital gap (eV): 10.020
E_LUMO (hartree): 0.0391
ΔE to the lowest compared entry with this formula, charge and spin (eV): 0.569
Highest occupied orbital energy (eV): -8.957

The geometry in XYZ format:
```
23
Properties=species:S:1:pos:R:3:lowdin_charge:R:1
H -2.442 0.592 -2.331 0.087
C 0.276 0.647 -0.234 -0.063
H -1.590 0.611 2.349 0.054
H 0.927 0.111 4.133 0.074
C -1.565 0.363 -1.766 -0.097
C 0.916 -0.395 -0.878 -0.287
H -0.583 -0.719 2.284 0.064
C 2.340 -0.710 -0.497 -0.050
C -0.970 1.081 -0.755 -0.086
H 0.733 1.229 0.553 0.093
H 2.311 -1.762 -0.215 0.082
C 0.204 0.789 3.636 -0.175
C -0.924 -0.770 -2.353 -0.085
H -1.513 -0.505 3.777 0.064
H -0.119 1.526 4.376 0.061
C -0.946 0.034 3.012 -0.185
H 2.597 -0.042 0.314 0.069
C 0.335 -1.118 -1.945 -0.056
H -1.556 1.849 -0.232 0.105
H 0.711 1.350 2.847 0.042
H -1.462 -1.187 -3.187 0.095
H 0.841 -1.993 -2.348 0.114
H 3.027 -0.562 -1.318 0.078
```

=====

Molecular formula: C2H4N4O
Method: DFT, wB97M-V/def2-TZVPD

## Properties